(Brief)
The reader should start at the top of the block underneath and retype each line, ending with the one that has "-0.23)".

(Excerpt)
[1]
# C11H16NO3

A gas-phase ion, C11H16NO3 (charge +1) at a distorted geometry (ωB97M-V/def2-TZVPD, the Open Molecules 2025 dataset).

Cartesian coordinates (Å):
C (0.66, -1.81, 1.72)
C (0.31, -0.69, 0.78)
N (0.01, -1.25, -0.70)
C (0.95, -1.32, -1.61)
C (0.62, -1.52, -2.98)
C (-0.78, -1.65, -3.23)
C (-1.76, -1.59, -2.19)
C (-1.27, -1.36, -0.98)
C (1.43, 0.38, 0.76)
C (0.66, 1.68, 0.28)
O (0.63, 1.59, -1.12)
C (-0.81, 1.36, 0.83)
C (-1.04, 2.27, 2.08)
O (0.07, 2.15, 2.99)
O (-0.95, -0.01, 1.10)
H (1.67, -1.92, 1.58)
H (0.21, -2.69, 1.32)
H (0.41, -1.50, 2.73)
H (2.03, -1.14, -1.36)
H (1.47, -1.55, -3.69)
H (-1.03, -1.98, -4.23)
H (-2.78, -1.71, -2.53)
H (-2.01, -1.33, -0.18)
H (2.17, 0.08, 0.04)
H (1.93, 0.46, 1.71)
H (1.12, 2.56, 0.84)
H (0.40, 2.45, -1.61)
H (-1.45, 1.65, -0.02)
H (-1.91, 2.06, 2.62)
H (-1.18, 3.28, 1.62)
H (0.20, 3.04, 3.44)

The molecular weight comes out at 210.3 g mol⁻¹. The charge is +1. The SMILES is C[C@]1([n+]2ccccc2)C[C@@H](O)[C@H](CO)O1. Its energy above the lowest of the compared OMol25 structures with the same formula, charge and spin is 1.631 eV. The maximum force comes out at 4.69 eV/Å. The frontier orbital gap is 0.3487 hartree. The HOMO energy is -13.253 eV.



[2]
# C7H10O2

2 unconnected molecules or ions with the total composition C7H10O2 at a distorted geometry (ωB97M-V/def2-TZVPD, the Open Molecules 2025 dataset).

Cartesian coordinates (Å):
C (-2.44, -0.06, -1.16)
C (2.89, -0.36, 0.10)
C (-1.82, -0.08, -0.05)
C (1.47, -0.06, -0.28)
C (0.52, -0.93, -0.25)
C (-1.78, 0.16, 1.39)
C (1.08, 1.41, -0.22)
O (3.57, 0.53, 0.64)
O (0.37, -2.28, -0.34)
H (-3.58, -0.18, -1.26)
H (-1.95, 0.06, -2.13)
H (3.27, -1.49, 0.06)
H (-2.82, 0.28, 1.79)
H (-1.31, 1.10, 1.47)
H (-1.22, -0.65, 1.82)
H (1.70, 1.85, 0.53)
H (1.21, 2.06, -1.01)
H (0.05, 1.42, -0.02)
H (0.78, -2.78, -1.08)

The molecular weight comes out at 126.2 g mol⁻¹. Its energy above the lowest of the compared OMol25 structures with the same formula, charge and spin is 6.227 eV. The maximum force comes out at 4.62 eV/Å. The frontier orbital gap (alpha / beta) is 0.2982 / 0.2834 hartree. The HOMO energy (alpha / beta) is -7.946 / -7.791 eV.



[3]
# C36H40BN12O2Ti

A molecular structure, C36H40BN12O2Ti (ωB97M-V/def2-TZVPD, the Open Molecules 2025 dataset).

Cartesian coordinates (Å):
Ti (-0.16, 0.17, -0.18)
C (-2.34, -5.83, 3.28)
C (-1.94, -4.49, 2.82)
C (-2.54, -3.32, 3.39)
C (-2.17, -2.07, 3.00)
C (-2.79, -0.91, 3.67)
N (-2.15, 0.10, 4.13)
C (-0.69, 0.30, 4.12)
C (-0.20, 1.09, 5.32)
C (1.25, 1.56, 5.12)
N (2.09, 0.41, 4.72)
C (2.64, 0.21, 3.57)
C (2.83, 1.21, 2.52)
C (3.71, 2.28, 2.74)
C (4.12, 3.12, 1.70)
C (5.10, 4.23, 1.95)
C (3.66, 2.83, 0.43)
C (2.73, 1.80, 0.19)
C (2.40, 1.38, -1.15)
N (1.44, 0.58, -1.46)
C (1.50, -0.06, -2.79)
C (2.01, -1.48, -2.60)
C (0.96, -2.38, -2.01)
N (0.39, -1.99, -0.67)
C (0.18, -2.99, 0.09)
C (-0.67, -3.07, 1.29)
C (-1.00, -4.31, 1.77)
C (-1.25, -1.89, 1.90)
O (-1.00, -0.74, 1.48)
C (2.28, 1.01, 1.25)
O (1.31, 0.11, 1.09)
H (-2.52, -5.85, 4.36)
H (-1.60, -6.60, 3.02)
H (-3.29, -6.11, 2.80)
H (-3.28, -3.47, 4.17)
H (-3.87, -0.92, 3.83)
H (-2.71, 0.83, 4.57)
H (-0.44, 0.80, 3.18)
H (-0.26, -0.70, 4.10)
H (-0.29, 0.50, 6.24)
H (-0.79, 1.99, 5.47)
H (1.66, 1.98, 6.04)
H (1.33, 2.29, 4.33)
H (2.17, -0.35, 5.40)
H (3.05, -0.79, 3.43)
H (4.12, 2.43, 3.73)
H (5.11, 4.52, 3.00)
H (4.85, 5.12, 1.37)
H (6.11, 3.92, 1.68)
H (4.01, 3.42, -0.41)
H (3.08, 1.70, -1.95)
H (2.16, 0.52, -3.44)
H (0.51, -0.06, -3.24)
H (2.92, -1.47, -2.00)
H (2.27, -1.89, -3.57)
H (1.33, -3.40, -1.93)
H (0.09, -2.41, -2.68)
H (0.55, -3.96, -0.23)
H (-0.56, -5.19, 1.33)
C (-1.60, 3.04, -3.24)
C (-0.58, 2.30, -2.66)
N (-1.01, 1.68, -1.54)
N (-2.32, 2.05, -1.39)
C (-2.68, 2.85, -2.40)
B (-3.05, 1.59, -0.11)
N (-3.09, 0.02, -0.27)
C (-4.16, -0.78, -0.26)
C (-3.82, -2.00, -0.81)
C (-2.49, -1.87, -1.15)
N (-2.04, -0.64, -0.84)
N (-2.10, 2.08, 1.06)
C (-2.36, 3.10, 1.89)
C (-1.17, 3.56, 2.41)
C (-0.19, 2.77, 1.83)
N (-0.77, 1.86, 1.02)

(Done)
[1]
# C11H16NO3

A gas-phase ion, C11H16NO3 (charge +1) at a distorted geometry (ωB97M-V/def2-TZVPD, the Open Molecules 2025 dataset).

Cartesian coordinates (Å):
C (0.66, -1.81, 1.72)
C (0.31, -0.69, 0.78)
N (0.01, -1.25, -0.70)
C (0.95, -1.32, -1.61)
C (0.62, -1.52, -2.98)
C (-0.78, -1.65, -3.23)
C (-1.76, -1.59, -2.19)
C (-1.27, -1.36, -0.98)
C (1.43, 0.38, 0.76)
C (0.66, 1.68, 0.28)
O (0.63, 1.59, -1.12)
C (-0.81, 1.36, 0.83)
C (-1.04, 2.27, 2.08)
O (0.07, 2.15, 2.99)
O (-0.95, -0.01, 1.10)
H (1.67, -1.92, 1.58)
H (0.21, -2.69, 1.32)
H (0.41, -1.50, 2.73)
H (2.03, -1.14, -1.36)
H (1.47, -1.55, -3.69)
H (-1.03, -1.98, -4.23)
H (-2.78, -1.71, -2.53)
H (-2.01, -1.33, -0.18)
H (2.17, 0.08, 0.04)
H (1.93, 0.46, 1.71)
H (1.12, 2.56, 0.84)
H (0.40, 2.45, -1.61)
H (-1.45, 1.65, -0.02)
H (-1.91, 2.06, 2.62)
H (-1.18, 3.28, 1.62)
H (0.20, 3.04, 3.44)

The molecular weight comes out at 210.3 g mol⁻¹. The charge is +1. The SMILES is C[C@]1([n+]2ccccc2)C[C@@H](O)[C@H](CO)O1. Its energy above the lowest of the compared OMol25 structures with the same formula, charge and spin is 1.631 eV. The maximum force comes out at 4.69 eV/Å. The frontier orbital gap is 0.3487 hartree. The HOMO energy is -13.253 eV.



[2]
# C7H10O2

2 unconnected molecules or ions with the total composition C7H10O2 at a distorted geometry (ωB97M-V/def2-TZVPD, the Open Molecules 2025 dataset).

Cartesian coordinates (Å):
C (-2.44, -0.06, -1.16)
C (2.89, -0.36, 0.10)
C (-1.82, -0.08, -0.05)
C (1.47, -0.06, -0.28)
C (0.52, -0.93, -0.25)
C (-1.78, 0.16, 1.39)
C (1.08, 1.41, -0.22)
O (3.57, 0.53, 0.64)
O (0.37, -2.28, -0.34)
H (-3.58, -0.18, -1.26)
H (-1.95, 0.06, -2.13)
H (3.27, -1.49, 0.06)
H (-2.82, 0.28, 1.79)
H (-1.31, 1.10, 1.47)
H (-1.22, -0.65, 1.82)
H (1.70, 1.85, 0.53)
H (1.21, 2.06, -1.01)
H (0.05, 1.42, -0.02)
H (0.78, -2.78, -1.08)

The molecular weight comes out at 126.2 g mol⁻¹. Its energy above the lowest of the compared OMol25 structures with the same formula, charge and spin is 6.227 eV. The maximum force comes out at 4.62 eV/Å. The frontier orbital gap (alpha / beta) is 0.2982 / 0.2834 hartree. The HOMO energy (alpha / beta) is -7.946 / -7.791 eV.



[3]
# C36H40BN12O2Ti

A molecular structure, C36H40BN12O2Ti (ωB97M-V/def2-TZVPD, the Open Molecules 2025 dataset).

Cartesian coordinates (Å):
Ti (-0.16, 0.17, -0.18)
C (-2.34, -5.83, 3.28)
C (-1.94, -4.49, 2.82)
C (-2.54, -3.32, 3.39)
C (-2.17, -2.07, 3.00)
C (-2.79, -0.91, 3.67)
N (-2.15, 0.10, 4.13)
C (-0.69, 0.30, 4.12)
C (-0.20, 1.09, 5.32)
C (1.25, 1.56, 5.12)
N (2.09, 0.41, 4.72)
C (2.64, 0.21, 3.57)
C (2.83, 1.21, 2.52)
C (3.71, 2.28, 2.74)
C (4.12, 3.12, 1.70)
C (5.10, 4.23, 1.95)
C (3.66, 2.83, 0.43)
C (2.73, 1.80, 0.19)
C (2.40, 1.38, -1.15)
N (1.44, 0.58, -1.46)
C (1.50, -0.06, -2.79)
C (2.01, -1.48, -2.60)
C (0.96, -2.38, -2.01)
N (0.39, -1.99, -0.67)
C (0.18, -2.99, 0.09)
C (-0.67, -3.07, 1.29)
C (-1.00, -4.31, 1.77)
C (-1.25, -1.89, 1.90)
O (-1.00, -0.74, 1.48)
C (2.28, 1.01, 1.25)
O (1.31, 0.11, 1.09)
H (-2.52, -5.85, 4.36)
H (-1.60, -6.60, 3.02)
H (-3.29, -6.11, 2.80)
H (-3.28, -3.47, 4.17)
H (-3.87, -0.92, 3.83)
H (-2.71, 0.83, 4.57)
H (-0.44, 0.80, 3.18)
H (-0.26, -0.70, 4.10)
H (-0.29, 0.50, 6.24)
H (-0.79, 1.99, 5.47)
H (1.66, 1.98, 6.04)
H (1.33, 2.29, 4.33)
H (2.17, -0.35, 5.40)
H (3.05, -0.79, 3.43)
H (4.12, 2.43, 3.73)
H (5.11, 4.52, 3.00)
H (4.85, 5.12, 1.37)
H (6.11, 3.92, 1.68)
H (4.01, 3.42, -0.41)
H (3.08, 1.70, -1.95)
H (2.16, 0.52, -3.44)
H (0.51, -0.06, -3.24)
H (2.92, -1.47, -2.00)
H (2.27, -1.89, -3.57)
H (1.33, -3.40, -1.93)
H (0.09, -2.41, -2.68)
H (0.55, -3.96, -0.23)